What to do.
Please type out only the last part of the entries underneath, starting with the line that has "0.162 0.346".

Input.
- - -
Entry 1:
A molecular structure, C16H16BEuN9O7. Source: the OMol25 dataset; level of theory: wB97M-V/def2-TZVPD.

```
50
Properties=species:S:1:pos:R:3:mulliken_spin:R:1
H 0.983 3.371 0.173 0.001
N 0.546 1.813 -1.204 -0.001
B 0.162 0.346 -3.275 -0.002
N 0.547 1.724 -2.602 0.004
C 0.913 2.923 -3.106 0.001
Eu 0.229 0.109 0.347 6.235
H 0.971 3.037 -4.192 0.000
C 1.158 3.813 -2.044 0.000
H 1.464 4.856 -2.082 0.000
C 0.918 3.071 -0.878 -0.005
H 0.221 0.480 -4.472 0.000
C -0.641 -1.989 1.196 0.745
H -0.552 -1.631 2.239 0.065
H 0.185 -2.617 0.814 0.036
H -1.636 -2.093 0.741 0.036
N -1.303 -0.050 -2.856 -0.003
N 1.171 -0.791 -2.834 -0.003
N -1.598 -0.223 -1.505 0.001
N 1.279 -1.093 -1.470 -0.003
C -2.422 -0.244 -3.594 0.001
C 2.041 -1.561 -3.526 0.001
H -2.363 -0.128 -4.681 0.000
H 2.096 -1.439 -4.614 0.000
C -3.475 -0.566 -2.733 -0.002
C 2.726 -2.393 -2.625 -0.002
C -2.905 -0.548 -1.443 0.003
C 2.215 -2.065 -1.355 -0.001
H -4.512 -0.784 -2.994 0.000
H 3.492 -3.137 -2.843 0.000
H -3.379 -0.754 -0.480 0.001
H 2.475 -2.459 -0.363 0.002
H -1.330 0.983 1.278 -0.107
O -0.313 0.050 7.708 0.000
N 0.560 -0.630 7.129 0.000
O 1.197 -1.513 7.742 0.000
C 0.832 -0.391 5.743 0.001
C 0.095 0.608 5.101 0.002
C 0.398 0.894 3.779 0.004
C 1.401 0.116 3.098 -0.003
O 1.746 0.312 1.896 0.000
C 2.094 -0.923 3.785 0.002
C 1.816 -1.162 5.113 -0.001
N 3.087 -1.712 3.070 0.000
O 3.675 -2.581 3.745 0.001
O 3.364 -1.562 1.860 -0.001
N -0.257 2.034 3.166 -0.004
O -1.259 2.508 3.724 -0.003
O 0.101 2.472 2.031 0.000
H -0.649 1.210 5.594 0.000
H 2.374 -1.926 5.622 0.000
```

multiplicity	8
⟨S²⟩	15.81
relative energy (zero: lowest compared OMol25 entry of this formula, charge and spin)	75.64	kJ/mol
LUMO (spin up / spin down)	-1.62 / -2.41	eV

=====

Entry 2:
A molecular structure, C16H16BF4N7OS2Zr. Source: the OMol25 dataset; level of theory: wB97M-V/def2-TZVPD.

```
48
Properties=species:S:1:pos:R:3:mulliken_charge:R:1
Zr 0.228 -0.030 -0.658 0.995
C 2.718 -0.405 3.238 -1.735
C 2.227 -0.363 1.829 0.833
N 1.071 -0.762 1.443 0.969
N 0.216 -1.288 2.358 -1.567
C -0.680 -2.053 1.771 0.434
N -1.605 -2.607 2.576 -0.363
S -0.691 -2.395 0.072 -0.391
C 3.116 0.108 0.748 0.791
C 4.398 0.577 0.989 -0.916
C 5.197 0.944 -0.082 -0.437
C 4.701 0.826 -1.366 -0.984
C 3.403 0.371 -1.531 0.038
N 2.628 0.025 -0.505 0.050
H 2.019 -0.963 3.852 0.397
H 2.796 0.611 3.632 0.343
H 3.705 -0.864 3.293 0.409
H -1.655 -2.276 3.525 0.255
H -2.401 -3.065 2.170 0.236
H 4.766 0.661 2.000 0.404
H 6.198 1.317 0.090 0.431
H 5.287 1.092 -2.233 0.414
H 2.953 0.282 -2.511 0.482
N -0.409 -1.298 -5.069 -0.468
C -0.536 -1.048 -3.737 0.780
S 0.819 -1.510 -2.741 -0.440
N -1.642 -0.516 -3.331 -1.383
N -1.679 -0.244 -1.970 0.754
C -2.884 -0.180 -1.524 -0.539
C -3.327 0.116 -0.185 0.777
C -4.692 -0.006 0.103 -0.889
C -5.187 0.309 1.350 -0.775
C -4.316 0.784 2.330 -0.417
C -2.969 0.930 2.070 -0.650
C -2.457 0.581 0.816 0.584
O -1.168 0.707 0.572 -0.045
H 0.305 -1.942 -5.358 0.225
H -1.249 -1.249 -5.621 0.249
H -3.671 -0.395 -2.245 0.305
H -5.361 -0.355 -0.675 0.375
H -6.242 0.205 1.563 0.406
H -4.702 1.049 3.307 0.402
H -2.281 1.301 2.817 0.451
F 1.038 2.186 -0.164 -0.295
B 0.595 2.715 -1.450 0.397
F 1.339 3.745 -1.883 -0.285
F 0.843 1.487 -2.257 -0.282
F -0.759 2.882 -1.416 -0.326
```

relative energy (zero: lowest compared OMol25 entry of this formula, charge and spin)	43.74	kJ/mol
LUMO	-0.89	eV

=====

Entry 3:
A molecular structure, C16H16Br5N3O2OsS. Source: the OMol25 dataset; level of theory: wB97M-V/def2-TZVPD.

```
44
Properties=species:S:1:pos:R:3:mulliken_spin:R:1
Os -4.048 -14.356 -4.847 2.749
Br -9.536 -15.896 -8.703 0.082
C -8.218 -15.861 -7.410 0.193
C -8.299 -16.763 -6.293 0.141
Br -9.849 -17.647 -5.914 0.071
C -7.202 -16.982 -5.471 -0.010
Br -7.070 -18.150 -3.998 0.000
C -6.124 -16.121 -5.670 0.167
O -5.070 -16.113 -4.901 0.161
C -6.166 -14.946 -6.594 0.221
O -5.291 -14.023 -6.373 0.152
C -7.183 -14.957 -7.506 -0.025
Br -7.126 -13.610 -8.761 -0.002
C -6.919 -13.352 -1.489 -0.001
- - -

Response.
B 0.162 0.346 -3.275 -0.002
N 0.547 1.724 -2.602 0.004
C 0.913 2.923 -3.106 0.001
Eu 0.229 0.109 0.347 6.235
H 0.971 3.037 -4.192 0.000
C 1.158 3.813 -2.044 0.000
H 1.464 4.856 -2.082 0.000
C 0.918 3.071 -0.878 -0.005
H 0.221 0.480 -4.472 0.000
C -0.641 -1.989 1.196 0.745
H -0.552 -1.631 2.239 0.065
H 0.185 -2.617 0.814 0.036
H -1.636 -2.093 0.741 0.036
N -1.303 -0.050 -2.856 -0.003
N 1.171 -0.791 -2.834 -0.003
N -1.598 -0.223 -1.505 0.001
N 1.279 -1.093 -1.470 -0.003
C -2.422 -0.244 -3.594 0.001
C 2.041 -1.561 -3.526 0.001
H -2.363 -0.128 -4.681 0.000
H 2.096 -1.439 -4.614 0.000
C -3.475 -0.566 -2.733 -0.002
C 2.726 -2.393 -2.625 -0.002
C -2.905 -0.548 -1.443 0.003
C 2.215 -2.065 -1.355 -0.001
H -4.512 -0.784 -2.994 0.000
H 3.492 -3.137 -2.843 0.000
H -3.379 -0.754 -0.480 0.001
H 2.475 -2.459 -0.363 0.002
H -1.330 0.983 1.278 -0.107
O -0.313 0.050 7.708 0.000
N 0.560 -0.630 7.129 0.000
O 1.197 -1.513 7.742 0.000
C 0.832 -0.391 5.743 0.001
C 0.095 0.608 5.101 0.002
C 0.398 0.894 3.779 0.004
C 1.401 0.116 3.098 -0.003
O 1.746 0.312 1.896 0.000
C 2.094 -0.923 3.785 0.002
C 1.816 -1.162 5.113 -0.001
N 3.087 -1.712 3.070 0.000
O 3.675 -2.581 3.745 0.001
O 3.364 -1.562 1.860 -0.001
N -0.257 2.034 3.166 -0.004
O -1.259 2.508 3.724 -0.003
O 0.101 2.472 2.031 0.000
H -0.649 1.210 5.594 0.000
H 2.374 -1.926 5.622 0.000
```

multiplicity	8
⟨S²⟩	15.81
relative energy (zero: lowest compared OMol25 entry of this formula, charge and spin)	75.64	kJ/mol
LUMO (spin up / spin down)	-1.62 / -2.41	eV

=====

Entry 2:
A molecular structure, C16H16BF4N7OS2Zr. Source: the OMol25 dataset; level of theory: wB97M-V/def2-TZVPD.

```
48
Properties=species:S:1:pos:R:3:mulliken_charge:R:1
Zr 0.228 -0.030 -0.658 0.995
C 2.718 -0.405 3.238 -1.735
C 2.227 -0.363 1.829 0.833
N 1.071 -0.762 1.443 0.969
N 0.216 -1.288 2.358 -1.567
C -0.680 -2.053 1.771 0.434
N -1.605 -2.607 2.576 -0.363
S -0.691 -2.395 0.072 -0.391
C 3.116 0.108 0.748 0.791
C 4.398 0.577 0.989 -0.916
C 5.197 0.944 -0.082 -0.437
C 4.701 0.826 -1.366 -0.984
C 3.403 0.371 -1.531 0.038
N 2.628 0.025 -0.505 0.050
H 2.019 -0.963 3.852 0.397
H 2.796 0.611 3.632 0.343
H 3.705 -0.864 3.293 0.409
H -1.655 -2.276 3.525 0.255
H -2.401 -3.065 2.170 0.236
H 4.766 0.661 2.000 0.404
H 6.198 1.317 0.090 0.431
H 5.287 1.092 -2.233 0.414
H 2.953 0.282 -2.511 0.482
N -0.409 -1.298 -5.069 -0.468
C -0.536 -1.048 -3.737 0.780
S 0.819 -1.510 -2.741 -0.440
N -1.642 -0.516 -3.331 -1.383
N -1.679 -0.244 -1.970 0.754
C -2.884 -0.180 -1.524 -0.539
C -3.327 0.116 -0.185 0.777
C -4.692 -0.006 0.103 -0.889
C -5.187 0.309 1.350 -0.775
C -4.316 0.784 2.330 -0.417
C -2.969 0.930 2.070 -0.650
C -2.457 0.581 0.816 0.584
O -1.168 0.707 0.572 -0.045
H 0.305 -1.942 -5.358 0.225
H -1.249 -1.249 -5.621 0.249
H -3.671 -0.395 -2.245 0.305
H -5.361 -0.355 -0.675 0.375
H -6.242 0.205 1.563 0.406
H -4.702 1.049 3.307 0.402
H -2.281 1.301 2.817 0.451
F 1.038 2.186 -0.164 -0.295
B 0.595 2.715 -1.450 0.397
F 1.339 3.745 -1.883 -0.285
F 0.843 1.487 -2.257 -0.282
F -0.759 2.882 -1.416 -0.326
```

relative energy (zero: lowest compared OMol25 entry of this formula, charge and spin)	43.74	kJ/mol
LUMO	-0.89	eV

=====

Entry 3:
A molecular structure, C16H16Br5N3O2OsS. Source: the OMol25 dataset; level of theory: wB97M-V/def2-TZVPD.

```
44
Properties=species:S:1:pos:R:3:mulliken_spin:R:1
Os -4.048 -14.356 -4.847 2.749
Br -9.536 -15.896 -8.703 0.082
C -8.218 -15.861 -7.410 0.193
C -8.299 -16.763 -6.293 0.141
Br -9.849 -17.647 -5.914 0.071
C -7.202 -16.982 -5.471 -0.010
Br -7.070 -18.150 -3.998 0.000
C -6.124 -16.121 -5.670 0.167
O -5.070 -16.113 -4.901 0.161
C -6.166 -14.946 -6.594 0.221
O -5.291 -14.023 -6.373 0.152
C -7.183 -14.957 -7.506 -0.025
Br -7.126 -13.610 -8.761 -0.002
C -6.919 -13.352 -1.489 -0.001